Assignment:
What is needed: repeat the notes below character by character.

Given:
********
Compound: KCaCu3
Source: Alexandria
Functional: GGA-PBEsol
Structure: relaxed

Computed properties:
DFT formation energy   1.19 eV per atom
Size of the total moment   0.000 μB/cell
Crystal system   cubic

a = 5.0780 Å, b = 5.0780 Å, c = 5.0780 Å
α = 90.00°, β = 90.00°, γ = 90.00°
Sites, in units of the cell vectors:
Cu: 0.5000 0.0000 0.0000
K: 0.0000 0.0000 0.0000
Cu: 0.0000 0.5000 0.0000
Ca: 0.5000 0.5000 0.5000
Cu: 0.0000 0.0000 0.5000

---

Compound: KCaCuSe2
Source: Alexandria
Functional: GGA-PBEsol
Structure: relaxed

Computed properties:
Size of the total moment   0.001 μB/cell
Formation energy without anion corrections   -0.20 eV/atom
Crystal system   tetragonal

a = 5.2720 Å, b = 5.4305 Å, c = 5.4305 Å
α = 90.00°, β = 90.00°, γ = 90.00°
Sites, in units of the cell vectors:
Se: 0.0000 0.0000 0.5000
K: 0.5000 0.5000 0.5000
Cu: 0.5000 0.0000 0.0000
Ca: 0.0000 0.0000 0.0000
Se: 0.0000 0.5000 0.0000

---

Compound: KCaCuTc2
Source: Alexandria
Functional: GGA-PBEsol
Structure: relaxed

Computed properties:
DFT formation energy   1.41 eV per atom
Size of the total moment   3.856 μB/cell
Crystal system   tetragonal

a = 4.6977 Å, b = 4.6977 Å, c = 5.2457 Å
α = 90.00°, β = 90.00°, γ = 90.00°
Site moments in Bohr magnetons follow the coordinates.
Sites, in units of the cell vectors:
K: 0.5000 0.5000 0.5000  0.00
Cu: 0.0000 0.0000 0.0000  0.20
Tc: 0.5000 0.0000 0.0000  1.75
Tc: 0.0000 0.5000 0.0000  1.75
Ca: 0.0000 0.0000 0.5000  -0.04

---

Compound: CaLaCu
Source: Alexandria
Functional: GGA-PBEsol
Structure: relaxed

Computed properties:
ΔE to the lowest computed polymorph   112 meV per atom
DFT formation energy   0.10 eV per atom
Size of the total moment   0.001 μB/cell
Crystal system   cubic

a = 4.9605 Å, b = 4.9605 Å, c = 4.9605 Å
α = 60.00°, β = 60.00°, γ = 60.00°
Sites, in units of the cell vectors:
Cu: 0.2500 0.2500 0.2500
Ca: 0.5000 0.5000 0.5000
La: 0.0000 0.0000 0.0000

---

Compound: Ca2LaCu
Source: Alexandria
Functional: GGA-PBEsol
Structure: relaxed

Computed properties:
ΔE to the lowest computed polymorph   213 meV per atom
DFT formation energy   0.21 eV per atom
Size of the total moment   0.000 μB/cell
Crystal system   tetragonal

a = 4.5914 Å, b = 4.5914 Å, c = 5.4533 Å
α = 90.00°, β = 90.00°, γ = 90.00°
Sites, in units of the cell vectors:
La: 0.0000 0.0000 0.5000
Ca: 0.5000 0.0000 0.0000
Ca: 0.0000 0.5000 0.0000
Cu: 0.5000 0.5000 0.5000

---

Compound: CaLaCu
Source: Alexandria
Functional: GGA-PBEsol
Structure: relaxed

Computed properties:
ΔE to the lowest computed polymorph   0 meV per atom
DFT formation energy   -0.01 eV per atom
Size of the total moment   0.000 μB/cell
Crystal system   tetragonal

a = 3.5386 Å, b = 3.5386 Å, c = 7.0450 Å
α = 104.55°, β = 104.55°, γ = 90.00°
Sites, in units of the cell vectors:
Cu: 0.6685 0.6685 0.3370
Ca: 0.0343 0.0343 0.0687
La: 0.2972 0.2972 0.5943

---

Compound: CaLaCu2
Source: Alexandria
Functional: GGA-PBEsol
Structure: relaxed

Computed properties:
DFT formation energy   -0.05 eV per atom
Size of the total moment   0.000 μB/cell
Crystal system   tetragonal

a = 3.4486 Å, b = 5.0440 Å, c = 5.0440 Å
α = 90.00°, β = 90.00°, γ = 90.00°
Sites, in units of the cell vectors:
Ca: 0.5000 0.0000 0.0000
La: 0.5000 0.5000 0.5000
Cu: 0.0000 0.5000 0.0000
Cu: 0.0000 0.0000 0.5000

---

Compound: CaLaCu2
Source: Alexandria
Functional: GGA-PBEsol
Structure: relaxed

Computed properties:
DFT formation energy   -0.10 eV per atom
Size of the total moment   0.000 μB/cell
Crystal system   orthorhombic

a = 3.9368 Å, b = 4.4311 Å, c = 5.6627 Å
α = 90.00°, β = 110.34°, γ = 90.00°
Sites, in units of the cell vectors:
La: 0.1108 0.0000 0.2217
Cu: 0.6858 0.5000 0.3715
Cu: 0.8146 0.0000 0.6293
Ca: 0.3906 0.5000 0.7812

---

What did we get for total DFT energy (no corrections)? Answer: -2.06, -3.26, -4.61, -3.83, -3.27, -3.95, -4.09, -4.13 eV per atom, in the order shown.

~~~~~

Computed, not measured: a geometry-optimized H2PdPbF8 structure at the PBE level of DFT.
********

Outcome:
Compound: KCaCu3
Source: Alexandria
Functional: GGA-PBEsol
Structure: relaxed

Computed properties:
DFT formation energy   1.19 eV per atom
Size of the total moment   0.000 μB/cell
Crystal system   cubic

a = 5.0780 Å, b = 5.0780 Å, c = 5.0780 Å
α = 90.00°, β = 90.00°, γ = 90.00°
Sites, in units of the cell vectors:
Cu: 0.5000 0.0000 0.0000
K: 0.0000 0.0000 0.0000
Cu: 0.0000 0.5000 0.0000
Ca: 0.5000 0.5000 0.5000
Cu: 0.0000 0.0000 0.5000

---

Compound: KCaCuSe2
Source: Alexandria
Functional: GGA-PBEsol
Structure: relaxed

Computed properties:
Size of the total moment   0.001 μB/cell
Formation energy without anion corrections   -0.20 eV/atom
Crystal system   tetragonal

a = 5.2720 Å, b = 5.4305 Å, c = 5.4305 Å
α = 90.00°, β = 90.00°, γ = 90.00°
Sites, in units of the cell vectors:
Se: 0.0000 0.0000 0.5000
K: 0.5000 0.5000 0.5000
Cu: 0.5000 0.0000 0.0000
Ca: 0.0000 0.0000 0.0000
Se: 0.0000 0.5000 0.0000

---

Compound: KCaCuTc2
Source: Alexandria
Functional: GGA-PBEsol
Structure: relaxed

Computed properties:
DFT formation energy   1.41 eV per atom
Size of the total moment   3.856 μB/cell
Crystal system   tetragonal

a = 4.6977 Å, b = 4.6977 Å, c = 5.2457 Å
α = 90.00°, β = 90.00°, γ = 90.00°
Site moments in Bohr magnetons follow the coordinates.
Sites, in units of the cell vectors:
K: 0.5000 0.5000 0.5000  0.00
Cu: 0.0000 0.0000 0.0000  0.20
Tc: 0.5000 0.0000 0.0000  1.75
Tc: 0.0000 0.5000 0.0000  1.75
Ca: 0.0000 0.0000 0.5000  -0.04

---

Compound: CaLaCu
Source: Alexandria
Functional: GGA-PBEsol
Structure: relaxed

Computed properties:
ΔE to the lowest computed polymorph   112 meV per atom
DFT formation energy   0.10 eV per atom
Size of the total moment   0.001 μB/cell
Crystal system   cubic

a = 4.9605 Å, b = 4.9605 Å, c = 4.9605 Å
α = 60.00°, β = 60.00°, γ = 60.00°
Sites, in units of the cell vectors:
Cu: 0.2500 0.2500 0.2500
Ca: 0.5000 0.5000 0.5000
La: 0.0000 0.0000 0.0000

---

Compound: Ca2LaCu
Source: Alexandria
Functional: GGA-PBEsol
Structure: relaxed

Computed properties:
ΔE to the lowest computed polymorph   213 meV per atom
DFT formation energy   0.21 eV per atom
Size of the total moment   0.000 μB/cell
Crystal system   tetragonal

a = 4.5914 Å, b = 4.5914 Å, c = 5.4533 Å
α = 90.00°, β = 90.00°, γ = 90.00°
Sites, in units of the cell vectors:
La: 0.0000 0.0000 0.5000
Ca: 0.5000 0.0000 0.0000
Ca: 0.0000 0.5000 0.0000
Cu: 0.5000 0.5000 0.5000

---

Compound: CaLaCu
Source: Alexandria
Functional: GGA-PBEsol
Structure: relaxed

Computed properties:
ΔE to the lowest computed polymorph   0 meV per atom
DFT formation energy   -0.01 eV per atom
Size of the total moment   0.000 μB/cell
Crystal system   tetragonal

a = 3.5386 Å, b = 3.5386 Å, c = 7.0450 Å
α = 104.55°, β = 104.55°, γ = 90.00°
Sites, in units of the cell vectors:
Cu: 0.6685 0.6685 0.3370
Ca: 0.0343 0.0343 0.0687
La: 0.2972 0.2972 0.5943

---

Compound: CaLaCu2
Source: Alexandria
Functional: GGA-PBEsol
Structure: relaxed

Computed properties:
DFT formation energy   -0.05 eV per atom
Size of the total moment   0.000 μB/cell
Crystal system   tetragonal

a = 3.4486 Å, b = 5.0440 Å, c = 5.0440 Å
α = 90.00°, β = 90.00°, γ = 90.00°
Sites, in units of the cell vectors:
Ca: 0.5000 0.0000 0.0000
La: 0.5000 0.5000 0.5000
Cu: 0.0000 0.5000 0.0000
Cu: 0.0000 0.0000 0.5000

---

Compound: CaLaCu2
Source: Alexandria
Functional: GGA-PBEsol
Structure: relaxed

Computed properties:
DFT formation energy   -0.10 eV per atom
Size of the total moment   0.000 μB/cell
Crystal system   orthorhombic

a = 3.9368 Å, b = 4.4311 Å, c = 5.6627 Å
α = 90.00°, β = 110.34°, γ = 90.00°
Sites, in units of the cell vectors:
La: 0.1108 0.0000 0.2217
Cu: 0.6858 0.5000 0.3715
Cu: 0.8146 0.0000 0.6293
Ca: 0.3906 0.5000 0.7812

---

What did we get for total DFT energy (no corrections)? Answer: -2.06, -3.26, -4.61, -3.83, -3.27, -3.95, -4.09, -4.13 eV per atom, in the order shown.

~~~~~

Computed, not measured: a geometry-optimized H2PdPbF8 structure at the PBE level of DFT.